File:
********
Entry 1:
ORCA calculation (ωB97M-V with the def2-TZVPD basis set) on C2H5N3OS2 in the gas phase in a non-equilibrium geometry.

For the energy above the lowest of the compared OMol25 structures with the same formula, charge and spin, the calculation gives 3.140 eV. Its charge is 0. The HOMO energy comes out at -8.576 eV. The gap between HOMO and LUMO is 8.582 eV. Its SMILES is ONC(/C=N\S)=N/S.

Each line ends with the Mulliken charge.
Atoms and positions in Å:
S  2.53  -1.16  -0.38  -0.15
N  -1.59  -1.44  0.27  -0.43
N  -0.43  1.31  0.02  -0.19
H  0.22  -1.82  0.98  0.42
C  0.33  0.16  0.05  0.87
C  -0.38  -1.09  0.45  -0.33
H  -3.68  -1.36  -0.47  0.17
N  1.57  0.25  -0.24  -0.63
S  -2.71  -0.46  -0.56  -0.09
H  3.66  -0.50  -0.59  0.15
O  0.30  2.48  -0.17  -0.44
H  1.23  2.18  -0.20  0.40
H  -1.05  1.45  0.84  0.26

---

Entry 2:
ORCA calculation (ωB97M-V with the def2-TZVPD basis set) on C37H32AsIrN5O2 as an isolated structure in a non-equilibrium geometry.

For the energy above the lowest of the compared OMol25 structures with the same formula, charge and spin, the calculation gives 0.225 eV. As for the spin multiplicity: 5. Its charge is +1. The HOMO energy (spin up / spin down) comes out at -9.406 / -11.010 eV. As for the expectation value of S²: 6.055. The gap between HOMO and LUMO (spin up / spin down) is 6.865 / 6.281 eV.

Each line ends with the Mulliken charge.
Atoms and positions in Å:
C  -4.73  -0.63  -1.24  -0.73
C  1.10  -3.89  2.44  -0.33
C  -1.41  3.99  0.08  -0.46
H  -1.40  -2.98  0.36  0.70
C  -1.88  -4.78  -1.74  -0.25
H  3.78  1.33  1.71  0.50
C  -3.46  4.35  -1.12  -0.54
C  0.39  -1.36  -6.81  -0.57
C  -2.52  4.77  -0.18  -0.69
H  -6.66  -1.10  -2.05  0.43
C  -3.30  3.13  -1.77  -1.01
C  -2.86  -1.75  -2.27  0.41
H  -2.68  -0.37  -0.65  0.32
C  -1.19  2.78  -0.62  -0.19
C  -5.59  -1.28  -2.12  -0.70
O  -0.07  0.58  -2.61  -0.57
H  -0.73  4.28  0.86  0.57
C  -0.13  -3.97  1.76  -0.94
H  -2.55  -6.75  -1.24  0.44
C  0.82  1.28  -3.23  0.41
H  -4.32  4.98  -1.33  0.41
H  -0.28  -7.74  -1.28  0.42
H  -5.77  -2.67  -3.75  0.44
H  -2.66  5.69  0.36  0.40
H  -3.34  -3.09  -3.89  0.58
H  4.50  3.69  1.40  0.41
H  1.67  -6.30  -1.77  0.45
H  -2.28  -0.83  -4.79  0.37
H  -0.78  -4.81  1.87  0.47
H  1.39  -4.70  3.10  0.43
H  -1.53  -0.44  -7.10  0.43
H  1.36  -3.90  -2.21  0.22
C  1.59  3.79  -0.34  -0.11
H  2.83  -2.67  2.83  0.50
H  0.72  -1.17  -7.82  0.40
H  -5.12  0.06  -0.51  0.50
H  -4.04  2.80  -2.48  0.46
C  2.29  0.91  -2.89  -0.75
C  2.81  4.21  0.18  -0.91
C  1.23  -2.01  -5.91  -0.99
H  3.16  5.21  -0.02  0.43
C  -3.73  -2.40  -3.15  0.00
C  -1.69  -6.13  -1.47  -0.82
H  -2.87  -4.37  -1.72  0.34
C  1.47  -1.74  1.45  0.27
C  -2.20  2.34  -1.51  0.43
C  -1.30  -1.18  -5.10  -0.41
N  1.55  0.28  0.59  0.42
H  -2.04  1.42  -2.05  0.53
H  2.82  0.84  -3.83  0.48
C  0.80  -2.24  -4.61  -0.23
C  -0.78  -3.98  -2.04  0.64
H  1.45  -2.76  -3.92  0.27
N  2.35  -0.31  -2.09  -0.58
Ir  0.19  -0.49  -0.79  2.60
N  2.13  -0.59  1.39  -1.09
C  0.50  -4.53  -2.03  -0.32
C  -0.47  -1.83  -4.20  0.65
C  3.57  3.35  0.96  -0.58
C  1.12  2.49  -0.08  -0.19
C  -5.10  -2.17  -3.07  -0.85
H  3.15  -0.32  -1.46  0.29
C  -0.46  -2.95  0.90  -0.19
H  2.22  -2.33  -6.22  0.45
C  -0.42  -6.68  -1.49  -0.54
O  0.61  2.16  -4.03  -0.72
C  0.68  -5.88  -1.76  -0.93
N  -0.10  1.98  -0.43  0.02
C  1.89  -2.79  2.30  -0.74
H  2.70  1.75  -2.32  0.24
H  2.41  -1.12  -2.68  0.23
C  2.00  1.58  0.57  0.41
C  -3.37  -0.87  -1.32  -0.71
H  1.01  4.44  -0.98  0.61
As  -0.96  -2.06  -2.34  0.82
C  -0.87  -0.95  -6.40  -0.82
C  3.18  2.02  1.14  -0.66
N  0.32  -1.88  0.70  0.33

---

Entry 3:
ORCA calculation (ωB97M-V with the def2-TZVPD basis set) on C7H8 in the gas phase in a non-equilibrium geometry.

For the energy above the lowest of the compared OMol25 structures with the same formula, charge and spin, the calculation gives 6.379 eV. Its charge is 0. The HOMO energy comes out at -8.069 eV. The gap between HOMO and LUMO is 8.672 eV.
********
Activity:
It remains to retype the rows earlier on from the first line to the one with "-0.28" unchanged.
Worked solution:
Entry 1:
ORCA calculation (ωB97M-V with the def2-TZVPD basis set) on C2H5N3OS2 in the gas phase in a non-equilibrium geometry.

For the energy above the lowest of the compared OMol25 structures with the same formula, charge and spin, the calculation gives 3.140 eV. Its charge is 0. The HOMO energy comes out at -8.576 eV. The gap between HOMO and LUMO is 8.582 eV. Its SMILES is ONC(/C=N\S)=N/S.

Each line ends with the Mulliken charge.
Atoms and positions in Å:
S  2.53  -1.16  -0.38  -0.15
N  -1.59  -1.44  0.27  -0.43
N  -0.43  1.31  0.02  -0.19
H  0.22  -1.82  0.98  0.42
C  0.33  0.16  0.05  0.87
C  -0.38  -1.09  0.45  -0.33
H  -3.68  -1.36  -0.47  0.17
N  1.57  0.25  -0.24  -0.63
S  -2.71  -0.46  -0.56  -0.09
H  3.66  -0.50  -0.59  0.15
O  0.30  2.48  -0.17  -0.44
H  1.23  2.18  -0.20  0.40
H  -1.05  1.45  0.84  0.26

---

Entry 2:
ORCA calculation (ωB97M-V with the def2-TZVPD basis set) on C37H32AsIrN5O2 as an isolated structure in a non-equilibrium geometry.

For the energy above the lowest of the compared OMol25 structures with the same formula, charge and spin, the calculation gives 0.225 eV. As for the spin multiplicity: 5. Its charge is +1. The HOMO energy (spin up / spin down) comes out at -9.406 / -11.010 eV. As for the expectation value of S²: 6.055. The gap between HOMO and LUMO (spin up / spin down) is 6.865 / 6.281 eV.

Each line ends with the Mulliken charge.
Atoms and positions in Å:
C  -4.73  -0.63  -1.24  -0.73
C  1.10  -3.89  2.44  -0.33
C  -1.41  3.99  0.08  -0.46
H  -1.40  -2.98  0.36  0.70
C  -1.88  -4.78  -1.74  -0.25
H  3.78  1.33  1.71  0.50
C  -3.46  4.35  -1.12  -0.54
C  0.39  -1.36  -6.81  -0.57
C  -2.52  4.77  -0.18  -0.69
H  -6.66  -1.10  -2.05  0.43
C  -3.30  3.13  -1.77  -1.01
C  -2.86  -1.75  -2.27  0.41
H  -2.68  -0.37  -0.65  0.32
C  -1.19  2.78  -0.62  -0.19
C  -5.59  -1.28  -2.12  -0.70
O  -0.07  0.58  -2.61  -0.57
H  -0.73  4.28  0.86  0.57
C  -0.13  -3.97  1.76  -0.94
H  -2.55  -6.75  -1.24  0.44
C  0.82  1.28  -3.23  0.41
H  -4.32  4.98  -1.33  0.41
H  -0.28  -7.74  -1.28  0.42